

Unrelated to this page: calculated crystals =
Run 1
This record from Alexandria describes crystalline MnSNF2 at its relaxed geometry. The functional is PBE with a Hubbard U.

## Properties
The crystal system is tetragonal.

Cell and atoms, written as POSCAR:
```
MnSNF2
1.0
-1.549 -2.738 -3.439
4.292 -1.731 -0.555
-0.675 -2.380 2.199
S F N Mn
1 2 1 1
Direct
0.000 0.000 0.000
0.500 0.000 0.000
0.000 0.500 0.000
0.000 0.000 0.500
0.500 0.500 0.500
```

---

Run 2
This record from Alexandria describes crystalline MnSNF2 at its relaxed geometry. The functional is PBE with a Hubbard U.

## Properties
The crystal system is tetragonal.

Cell and atoms, written as POSCAR:
```
MnSNF2
1.0
-0.266 -2.913 2.501
3.372 -1.376 -1.244
2.088 2.395 3.011
Mn S N F
1 1 1 2
Direct
0.000 0.000 0.000
0.500 0.500 0.500
0.000 0.000 0.500
0.500 0.000 0.000
0.000 0.500 0.000
```

---

Most stable structure - run 2; separation to the second - 106 meV/atom.

---

Run 1
This record from Alexandria describes crystalline MnSbNF2 at its relaxed geometry. The functional is PBE with a Hubbard U.

## Properties
The crystal system is tetragonal.

Cell and atoms, written as POSCAR:
```
MnSbNF2
1.0
4.455 0.000 0.000
0.000 4.455 0.000
0.000 0.000 4.267
F Mn N Sb
2 1 1 1
Direct
0.500 0.000 0.000
0.000 0.500 0.000
0.500 0.500 0.500
0.000 0.000 0.500
0.000 0.000 0.000
```

---

Run 2
This record from Alexandria describes crystalline MnSbNF2 at its relaxed geometry. The functional is PBE with a Hubbard U.

## Properties
The crystal system is tetragonal.

Cell and atoms, written as POSCAR:
```
MnSbNF2
1.0
-0.263 0.377 3.987
-1.527 -3.704 0.249
3.953 -1.601 0.412
Mn N F Sb
1 1 2 1
Direct
0.000 0.000 0.000
0.000 0.000 0.500
0.000 0.500 0.000
0.500 0.000 0.000
0.500 0.500 0.500
```

---

Most stable structure - run 2; separation to the second - 300 meV/atom.

---

Run 1
This record from Alexandria describes crystalline ScMnN2F at its relaxed geometry. The functional is PBE with a Hubbard U.

## Properties
The crystal system is tetragonal.

Cell and atoms, written as POSCAR:
```
ScMnN2F
1.0
-2.991 1.384 2.030
-1.765 -3.435 -0.259
1.675 -1.104 3.221
N Sc F Mn
2 1 1 1
Direct
0.000 0.500 0.000
0.500 0.000 0.000
0.500 0.500 0.500
0.000 0.000 0.500
0.000 0.000 0.000
```

---

Run 2
This record from Alexandria describes crystalline ScMnN2F at its relaxed geometry. The functional is PBE with a Hubbard U.

## Properties
The crystal system is tetragonal.

Cell and atoms, written as POSCAR:
```
ScMnN2F
1.0
4.163 0.000 0.000
0.000 4.163 0.000
0.000 0.000 3.996
Mn Sc N F
1 1 2 1
Direct
0.500 0.500 0.500
0.000 0.000 0.000
0.500 0.000 0.000
0.000 0.500 0.000
0.000 0.000 0.500
```

---

Most stable structure - run 1; separation to the second - 135 meV/atom.

---

Run 1
This record from Alexandria describes crystalline MnSe2NF at its relaxed geometry. The functional is PBE with a Hubbard U.

## Properties
The crystal system is tetragonal.

Cell and atoms, written as POSCAR:
```
MnSe2NF
1.0
4.633 0.000 0.000
0.000 4.633 0.000
0.000 0.000 4.100
Se Mn F N



  • 外文名:competitor
  • 詞性:名詞
  • 英式音標:[kəmˈpetɪtə(r)]
  • 美式音標:[kəmˈpetɪtər]


英 [kəmˈpetɪtə(r)] 美 [kəmˈpetɪtər]
n. 競爭者,對手;選手,參賽者
[ 複數 competitors ]

********
# Be2Fe5B2

Be2Fe5B2 after structural relaxation (PBE, the Alexandria database).

Calculated values
Formation energy: -172 meV/atom
Total DFT energy (no corrections): -7.19 eV per atom
Space-group type: No. 64

abc: 6.1859 6.1859 5.3822
angles: 90.00 90.00 52.26
Fractional positions:
Be 0.2228 0.2228 0.0000
Be 0.2772 0.2772 0.5000
Be 0.7228 0.7228 0.5000
Be 0.7772 0.7772 0.0000
Fe 0.0000 0.0000 0.0000
Fe 0.0550 0.6972 0.6825
Fe 0.1972 0.5550 0.1825
Fe 0.3028 0.9450 0.6825
Fe 0.4450 0.8028 0.1825
Fe 0.5000 0.5000 0.5000
Fe 0.5550 0.1972 0.8175
Fe 0.6972 0.0550 0.3175
Fe 0.8028 0.4450 0.8175
Fe 0.9450 0.3028 0.3175
B 0.1150 0.8850 0.3852
B 0.3850 0.6150 0.8852
B 0.6150 0.3850 0.1148
B 0.8850 0.1150 0.6148

***

# Be2Fe2B

Be2Fe2B after structural relaxation (PBE, the Alexandria database).

Calculated values
Formation energy: -90 meV/atom
Total DFT energy (no corrections): -6.30 eV per atom
Space-group type: No. 127

abc: 5.1525 5.1525 3.4639
angles: 90.00 90.00 90.00
Fractional positions:
Be 0.1528 0.3472 0.0000
Be 0.3472 0.8472 0.0000
Be 0.6528 0.1528 0.0000
Be 0.8472 0.6528 0.0000
Fe 0.1546 0.6546 0.5000
Fe 0.3454 0.1546 0.5000
Fe 0.6546 0.8454 0.5000
Fe 0.8454 0.3454 0.5000
B 0.0000 0.0000 0.5000
B 0.5000 0.5000 0.5000

***

# BeFe4B2

BeFe4B2 after structural relaxation (PBE, the Alexandria database).

Calculated values
Formation energy: -37 meV/atom
Total DFT energy (no corrections): -7.31 eV per atom
Space-group type: No. 166

abc: 7.2849 7.2849 7.2849
angles: 26.28 26.28 26.28
Fractional positions:
Be 0.0000 0.0000 0.0000
Fe 0.2018 0.2018 0.2018
Fe 0.3853 0.3853 0.3853
Fe 0.6147 0.6147 0.6147
Fe 0.7982 0.7982 0.7982
B 0.0955 0.0955 0.0955
B 0.9045 0.9045 0.9045

***

# BeFe2B

BeFe2B after structural relaxation (PBE, the Alexandria database).

Calculated values
Formation energy: -149 meV/atom
Total DFT energy (no corrections): -6.98 eV per atom
ΔE to the lowest computed polymorph: 30 meV/atom
Space-group type: No. 225

abc: 3.6018 3.6018 3.6018
angles: 60.00 60.00 60.00
Fractional positions:
Be 0.0000 0.0000 0.0000
Fe 0.2500 0.2500 0.2500
Fe 0.7500 0.7500 0.7500
B 0.5000 0.5000 0.5000

***

# BeFe2B

BeFe2B after structural relaxation (PBE, the Alexandria database).

Calculated values
Formation energy: -179 meV/atom
Total DFT energy (no corrections): -7.01 eV per atom
ΔE to the lowest computed polymorph: 0 meV/atom
Space-group type: No. 123

abc: 2.5442 2.5442 5.2059
angles: 90.00 90.00 90.00
Fractional positions:
Be 0.0000 0.0000 0.0000
Fe 0.5000 0.5000 0.2732
Fe 0.5000 0.5000 0.7268
B 0.0000 0.0000 0.5000

***

# Be2FeB2

Be2FeB2 after structural relaxation (PBE, the Alexandria database).

Calculated values
Formation energy: -43 meV/atom
Total DFT energy (no corrections): -5.90 eV per atom
ΔE to the lowest computed polymorph: 0 meV/atom
Space-group type: No. 139

abc: 4.7595 4.7595 4.7595
angles: 143.86 143.86 52.04
Fractional positions:
Be 0.2500 0.7500 0.5000
Be 0.7500 0.2500 0.5000
Fe 0.0000 0.0000 0.0000
B 0.4033 0.4033 0.0000
********


competitor analysis 競爭者分析
Fellow competitor 同伴競技者 ; 搭檔競技者 ; 火伴體育競賽者 ; 錯誤競技者
Fellow-Competitor 同伴比賽者 ; 同組競賽者 ; 搭檔競賽者
Competitor Tracking 競爭對手跟蹤
strategic competitor 戰略競爭者 ; 戰略競爭者
Competitor comparisons 競爭對手對比
Imperfect competitor 不完全競爭者 ; 不完全競爭者購買量或銷售量足以影響所在市場的價格水平的廠商
Predatory competitor 非常強大的競爭對手 ; 掠奪性競爭對手
competitor system 競爭機制
Competitor Profile 競爭者檔案 ; 競爭對手文檔

Inserted here: calculated crystals:
'''
Entry 1:
# PBEsol ZrGeMo, relaxed
data_ZrGeMo
_chemical_formula_sum 'Zr4 Ge4 Mo4'
_cell_length_a 6.9902
_cell_length_b 3.5310
_cell_length_c 8.2867
_cell_angle_alpha 90.00
_cell_angle_beta 90.00
_cell_angle_gamma 90.00
_symmetry_space_group_name_H-M 'P n m a'
_symmetry_Int_Tables_number 62
loop_
_symmetry_equiv_pos_as_xyz
'x,y,z'
'-x,-y,-z'
'-x+1/2,-y,z+1/2'
'x+1/2,y,-z+1/2'
'x+1/2,-y+1/2,-z+1/2'
'-x+1/2,y+1/2,z+1/2'
'-x,y+1/2,-z'
'x,-y+1/2,z'
loop_
_atom_site_label
_atom_site_fract_x
_atom_site_fract_y
_atom_site_fract_z
Zr1 0.0483 0.2500 0.1671
Ge1 0.2493 0.7500 0.3609
Mo1 0.1270 0.2500 0.5602
# ΔH_f (0 K): -0.647 eV/atom
# total energy: -9.246 eV per atom



Entry 2:
# PBEsol Zr2Ge2Mo, relaxed
data_Zr2Ge2Mo
_chemical_formula_sum 'Zr4 Ge4 Mo2'
_cell_length_a 6.7749
_cell_length_b 6.7749
_cell_length_c 3.7937
_cell_angle_alpha 90.00
_cell_angle_beta 90.00
_cell_angle_gamma 90.00
_symmetry_space_group_name_H-M 'P 4/m b m'
_symmetry_Int_Tables_number 127
_symmetry_space_group_name_Hall '-P 4 2ab'
loop_
_atom_site_label
_atom_site_fract_x
_atom_site_fract_y
_atom_site_fract_z
Zr1 0.1730 0.3270 0.0000
Ge1 0.1320 0.6320 0.5000
Mo1 0.0000 0.0000 0.5000
# ΔH_f (0 K): -0.740 eV/atom
# total energy: -8.705 eV per atom


[1]
The following is a PBE calculation of a relaxed structure of MgZnRu2C, from the Alexandria database.

extended XYZ file:
```
5
Lattice="-0.2827 2.6898 2.9821 0.7716 -2.8974 2.6865 4.1185 0.7944 -0.3261" Properties=species:S:1:pos:R:3 pbc="T T T"
Ru -0.1413 1.3449 1.4910
Mg 2.0593 0.3972 -0.1631
Ru 0.3858 -1.4487 1.3433
Zn 2.3037 0.2934 2.6712
C 0.0000 0.0000 0.0000
```

Properties
- SG: No. 123

***

[2]
The following is a PBE calculation of a relaxed structure of TaNb4V2, from the Alexandria database.

extended XYZ file:
```
7
Lattice="3.3853 0.0000 -0.4467 0.0000 3.2108 0.0000 -0.2510 0.0000 11.1487" Properties=species:S:1:pos:R:3 pbc="T T T"
Ta 1.6926 0.0000 -0.2233
Nb 0.9971 0.0000 7.5569
V 2.5223 1.6054 6.0644
Nb 0.2166 1.6054 1.6417
Nb 2.9176 1.6054 9.0603
V 0.6120 1.6054 4.6377
Nb 2.1371 0.0000 3.1452
```

Properties
- Energy relative to the lowest polymorph listed for this composition: 91 meV per atom
- SG: No. 65

***

[3]
The following is a PBE calculation of a relaxed structure of Pu2Pa2Ge, from the Alexandria database.

extended XYZ file:
```
5
Lattice="-1.6329 -3.8338 -0.5646 -0.3469 -0.4656 4.1648 -5.0740 4.7637 -2.0130" Properties=species:S:1:pos:R:3 pbc="T T T"
Pu -2.2292 -1.6154 1.7566
Pa -3.8484 -0.6099 -0.3887
Ge 0.0000 0.0000 0.0000
Pa -3.2054 1.0742 1.9760
Pu -4.8246 2.0798 -0.1694
```

Properties
- Energy relative to the lowest polymorph listed for this composition: 232 meV per atom
- SG: No. 139

***

[4]
The following is a PBE calculation of a relaxed structure of TbPmRuRh, from the Alexandria database.

extended XYZ file:
```
4
Lattice="3.4654 0.0000 0.0000 0.0000 3.4654 0.0000 0.0000 0.0000 6.9143" Properties=species:S:1:pos:R:3 pbc="T T T"
Rh 0.0000 0.0000 5.8803
Ru 0.0000 0.0000 2.5075
'''


  • 1The opposite of an opportunist is a competitor.與機會主義者對立的是競爭者。
  • 2His success was beyond belief since his competitor was so experienced.他的成功令人難以置信,因為他的對手非常有經驗。
  • 3The girl I viewed as a competitor congratulated me on my contest results.那個被我視為競爭對手的女孩就我取得的競賽成績向我表示祝賀。
  • 4I am certain of it, especially if it's difficult for a competitor to copy.我對此非常確信,尤其是當競爭對手很難抄襲的時候。
  • 5Parkrun is not a race but a time trial: Your only competitor is the clock.“公園跑”不是速度競賽,而是計時賽:你唯一的競爭對手是時鐘。
  • 6In this game, you only have one starting point, one destination, and one competitor.在這個遊戲中,你只有一個起點、一個終點和一位競爭對手。
  • 7What if a competitor company proposes to do business with them in a "traditional" way?如果一個競爭對手公司提出和他們用“傳統”的方式做生意呢?
  • 8A tough competitor, bracken reduces the value of grazing land by crowding out other vegetation.作為一個強有力的競爭者,蕨類植物排擠了其他植被,從而降低了放牧地的價值。
  • 9Renault's competitor PSA Peugeot Citroen is "extremely vigilant" about the risks of industrial espionage.雷諾的競爭對手標誌雪鐵龍“極其警惕”工業間諜的風險。
  • 10If you have a product and your competitor has a product and you put sugar in yours, people are going to like it better.如果您有產品,而你的競爭對手有產品,並且你的在其中放了糖,人們會更喜歡你的產品。
  • 11It can also be antagonistic, such as when a political candidate turns toward their competitor during a debate and makes eye contact that signals hostility.它也可以是對抗性的,例如,當一個政治候選人在辯論中轉向他們的競爭對手,並進行眼神交流,表明敵意。
  • 12Suppose a United States-owned company establishes an overseas plant to manufacture a product while its competitor makes the same product in the United States.假設一家美國公司建了一個海外工廠生產一種產品,而其競爭對手在美國國內生產同樣的產品。
  • 13A thirty-nine-year-old competitor collapsed half-way through the marathon.一位39歲的參賽者在馬拉松賽跑的中途癱倒了。《柯林斯英漢雙解大詞典》
  • 14In the second race, the American competitor edged out the Ethiopian runner by less than a second.在第二場賽跑中,美國選手比衣索比亞選手快不到1秒鐘。《柯林斯英漢雙解大詞典》
  • 15As long as your competitor is up for the challenge, you might as well go for it.只要您的競爭對手願意接受挑戰,您也可以堅持下去。
  • 16The most mentally positive competitor might be chosen as the captain in order to lead the team to victory.為了帶領球隊取得勝利,最積極向上的運動員可能被選為隊長。
  • 17Without predators, the species that is the best competitor for food, shelter, nesting sites, and other environmental resources tends to dominate and exclude the species with which it competes.在沒有捕食者的情況下,那些在食物、庇護所、巢穴據點和其他環境資源方面最具競爭力的物種往往會占據主導地位,並拒絕接納那些與之競爭的物種。
  • 18The market-orientated strategy divides into customer orientation, competitor orientation, and interfunctional coordination.以市場為導向的策略分為以客戶為導向,以競爭對手為導向和部門間協調。
  • 19The first prize was awarded to the youngest competitor.一等獎授給了最年輕的比賽者。《新英漢大辭典》
  • 20The Olympiad jury did not misestimate any competitor.奧林匹德評審團沒有錯估任何選手。
  • 21A: They are a great competitor.曾啟山:他們是非常優秀的競爭對手。
  • 22He's just that fierce competitor.作為一個競爭者,他是如此兇猛。
  • 23Subsidiary or Competitor?子公司還是競爭者?
  • 24Time is our top competitor.他說“時間是我們的首要競爭者。
  • 25Understand competitor performance gaps.理解與競爭對手的績效差距。
  • 26Who is likely to be their main competitor?主要競爭對手可能是誰?
  • 27So, no, I wouldn't say she's my competitor.所以,我不會說她是我的競爭對手。


